Photo by Robert Lamb on Unsplash

With the new year comes new goals or resolutions and new habits. Given that willpower alone won’t get you where you want to go, one of the key ways to support what you want to rock in 2020 is going to be to get suuuuuuuper clear on your boundaries.

Boundaries are a buzzword these days for a reason. But few people know how to hold them well. They often get confused with armor or walls, and can feel like a smack when applied for the first time in a relationship that previously had weak ones or none.

“Walls keep everybody out. Boundaries teach people where the door is.” — Mark Groves

Boundaries aren’t a complete closing off, but an invitation to others to engage in a way that allows the right level of opening to occur at the right time. When you don’t have good boundaries, you’re going to tend to armor up around certain people around whom you tend to abandon yourself.

For me, that used to be my mother. My drive to be a good daughter coupled with her tendency to focus on what she wanted without considering her impact had me go against myself to please her over and over again.

After I was diagnosed as allergic to gluten in 2008 and she kept making quiche or serving pie when I visited her for dinner, the first time I refused to eat what she served I shook in my shoes. But avoiding days of abdominal pain post-visit became more important to me than my fear of her disappointment, so I risked hurting her feelings. And wouldn’t you know it, after I did that she got the hang of what I could and couldn’t eat without a fuss.

You may also have a hard time saying no, having been taught to be flexible, malleable, and an agreeable caretaker. For you, armoring yourself with walls for a while could be a necessary stage on the way to learning how to have clear boundaries.

Walls are not a problem to be fixed and you’re not wrong for having them.

Armor may have been a necessary part of what you needed to wear to survive. Be grateful for its safety-giving strength and thank yourself for putting it on when you needed it.

And, when you’re ready, your next step will be to shift out of the behaviors that helped you survive into new behaviors that support you to thrive. This includes dismantling your armor and learning to have clear boundaries instead.

Boundaries are born out of sovereignty.

A former yoga teacher of mine used to say that when the inside — our connection to our deepest self — is strong, the outside — how we meet the world — can be soft and receptive.

The reverse is also true: When our connection to our deepest self is weak, we tend to harden our outer self. The hard armor forged out of compensation, self-protection, and lack of self-trust is not who we really are. At some point, it becomes time to turn our attention to what’s behind that hardness so that more of who we really are can come out.

Your true boundaries emerge out of self-acceptance and integrity, as well as clarity about what does and doesn’t work for you.

Sadly, this isn’t something you can figure out in your head in an abstract way. You can’t think your way through this one, you’re going to have to try stuff and feel how it ripples through you.

NOTE: If you’re in active trauma and need armor to survive, the number one thing is to get yourself to safety before you even think about starting to dismantle your protective patterns. Once there’s enough of a foundation of safety and support in your life, then you could consider starting to examine how to make the transition to creating clear boundaries instead of wearing armor.

How To Set Boundaries #1

Before you ever say YES or NO to someone else, learn to say YES to yourself by practicing filling yourself up fully with yourself and what you most love and value in life.

The funny thing is, if you center yourself in your own sovereignty and values, the way people treat you shifts even before you have to tell them what your boundaries are.

The Filling Up Practice:

Sit quietly in a place where you won’t be disturbed for 5–10 minutes. Feel your feet on the floor and the pressure of your body on the chair.

Become aware of your connection to the earth, the solidity beneath you that holds you up.

Become aware of a central column that connects your seat to the crown of your head. Your core, if you will. Center yourself in that central column as you gently breathe. Feel your sovereignty and connection with yourself in this central column.

Become aware of the qualities or values you most love in life. Whether they’re love, freedom, clarity, or passion, choose the three qualities that matter the most. Let those qualities infuse your central column and expand out to fill your body as you breathe.

Become aware of the space all around your body, as if you’re sitting in an egg. Let the sensation you feel in your central column spread out and fill this egg.

Your energetic field extends out several feet in all directions from your body. Breathing your center outward into the space around your body is the natural extension of filling yourself up with yourself.

Practice filling yourself up with yourself as many times a day as you need to until walking through the world as a filled-up sovereign being is how you naturally carry yourself.

How To Set Boundaries #2

In order to own your YES, learn to own your NO.

== The page is interrupted by materials data ==
********
DFT (PBE) results for a relaxed structure of PrMgAgO3.

SG: Cmcm
Spin magnetization (μB per formula unit): 0.122
E_tot (eV/cell): -60.25
V (Å³ per cell): 202.1

a = 7.9531 Å, b = 7.9531 Å, c = 8.0768 Å
α = 90.00°, β = 90.00°, γ = 156.70°
Positions (direct):
1 Ag 0.6148 0.3852 0.2500
2 Ag 0.3852 0.6148 0.7500
3 Mg 0.3232 0.6768 0.2500
4 Mg 0.6768 0.3232 0.7500
5 O 0.8710 0.1290 0.0877
6 O 0.7474 0.2526 0.2500
7 O 0.8710 0.1290 0.4123
8 O 0.1290 0.8710 0.5877
9 O 0.2526 0.7474 0.7500
10 O 0.1290 0.8710 0.9123
11 Pr 0.0000 0.0000 0.0000
12 Pr 0.0000 0.0000 0.5000
********

Practicing #1 makes it easier to feel and communicate your clear NO and YES to others because it will be very clear to you what does and doesn’t feel good once you’re filled up with your own center.

Here’s the uncomfortable truth: Until you have a clear NO, your YES will be unreliable.

A muddy YES makes you untrustworthy and sets the stage for you to feel violated by others. People have to pussyfoot around you because they don’t know whether or not your YES is real. They end up often feeling wrong because you haven’t told them how to win with you.

Read this article by Lynne Forrest on the victim triangle to get a clearer picture of how we tend to move between the Victim, the Persecutor, and the Rescuer positions in our daily lives.

In addition, every time you say YES when you mean MAYBE or NO, it’s like death by a thousand tiny cuts to your self-esteem and self-trust. The first step to developing self-respect and integrity is getting clear on your YES and NO and communicating what’s true for you.

If you hold setting a boundary with your YES and NO as a demonstration of sovereignty, self-esteem, and integrity, it becomes easier to do. If you’re focused on whether or not someone will reject you for not going along with what they want, it becomes harder.

The YES and NO Practice:

Start small. Say YES or NO when someone asks if you want Mexican food for lunch or if you want a coffee. Get honest when the stakes are low.

Bonus: if you’re a YES to coffee be very specific about how you want it instead of taking it however it shows up. This builds the muscle of helping others win with you by teaching them what you want and don’t want.

Your specificity about what you want is not overly demanding or high maintenance! It’s an act of kindness because you make it easier for people to win with you.

Remember to reward people when they give you what you want. This can be as simple as a big smile and a genuine, Thank you!

Your joy feels great to others to receive. And if they’re worth your time and attention, they will do whatever it takes to receive it again.

Work up to a stronger YES and NO boundary by raising the stakes over time. You could practice with a friend you invite to help you improve at boundary-setting until you no longer stumble over your words or over-explain your NO.

Get smooth with YES and NO in increasingly challenging contexts until it becomes no big deal to tell your boss you won’t be taking on that extra project over the weekend and you don’t even go into explaining why not.

In conclusion:

To become a boundary-setting champ, combine the practices of filling yourself up with yourself and saying YES and NO when you mean it. This crucial skill works in the boardroom, the bedroom, and everywhere in between. Choose the arena you find it easiest to practice in first and expand out to tougher ones once you’ve nailed it in the less charged area.

For more on boosting self-love, which is the foundation for creating better boundaries, read 5 Ways To Pump Up Your Self-Love Muscle that Don’t Require You To Buy Anything.

At first, people may get thrown a little by the change in you, but if you express delight and appreciation when they respect a boundary you’ve set, they’ll embrace the change over time. This lays the groundwork for your relationships to feel so much better to all of you and for you to rock your 2020 goals.

The relationship you desire is possible! Click HERE to discover what missing pieces are stopping you from having the connection and passion you desire.